**Work order:**
It remains to filter the data further below: keep the lines with the word "O1".
**File:**
This record from OMol25 describes 2 unconnected molecules or ions with the total composition C2H2FO4P. The level of theory is ωB97M-V with the def2-TZVPD basis set.

Strongest force on any atom in hartree/bohr: 0.05652
HOMO level in eV: 0.75
E in Eh: -819.5581
Orbital gap in eV: 6.1
Charge: -2

Last column: Mulliken charge in e.
Element x y z (Å)
C1 1.00778 -1.55411 0.44905  0.3774
C2 0.64125 -0.16242 0.57162  -0.6464
O1 -2.35572 2.40074 0.27099  -0.6908
O2 -0.62035 2.37004 -1.61052  -0.6265
O3 -2.33209 0.46290 -1.40482  -0.6493
O4 0.79614 -1.16826 1.72542  -0.4730
F1 2.35415 -1.95970 0.19618  -0.3505
P1 -1.62803 1.64859 -0.83220  0.8609
H1 0.55979 -2.52015 -0.01328  0.1589
H2 1.57708 0.48238 0.64754  0.0393



This record from OMol25 describes a molecular structure, C2H2FOZn. The level of theory is ωB97M-V with the def2-TZVPD basis set.

Strongest force on any atom in hartree/bohr: 0.11401
HOMO level (spin up / spin down) in eV: -14.45 / -15.72
E in Eh: -2031.4088
Orbital gap (spin up / spin down) in eV: 6.0 / 7.7
Charge: +1

Last column: Mulliken charge in e.
Element x y z (Å)
C1 -0.11920 0.62095 -0.29883  0.8734
C2 -0.38147 -0.53666 0.39998  -0.5001
F1 -1.06338 1.50954 -0.63036  -0.1199
O1 0.81710 0.35028 -1.15711  -0.5161
H1 -1.33918 -0.64028 0.90729  0.2877
H2 0.11862 -1.50375 0.29206  0.3157
Zn1 1.96751 0.19992 0.48698  0.6592



This record from OMol25 describes a gas-phase ion, C2H2I2NO (charge -1). The level of theory is ωB97M-V with the def2-TZVPD basis set.

Strongest force on any atom in hartree/bohr: 0.07598
HOMO level in eV: -2.64
E in Eh: -802.6793
Orbital gap in eV: 5.6
Charge: -1

Last column: Mulliken charge in e.
Element x y z (Å)
C1 0.98171 -0.41846 0.01383  -0.5197
C2 -1.06639 -0.21482 0.41826  -0.3809
N1 -0.02473 0.49551 0.03635  0.4582
O1 0.15868 1.77806 0.00231  -0.6482
I1 2.91461 0.51350 -0.13887  -0.1640
I2 -3.03345 0.54285 0.15525  -0.1426
H1 0.94827 -1.42391 -0.51049  0.2245
H2 -0.87871 -1.27274 0.02336  0.1728



This record from OMol25 describes a gas-phase ion, C2H2I2NO (charge -1). The level of theory is ωB97M-V with the def2-TZVPD basis set.

Expectation value of S²: 2.02
Strongest force on any atom in hartree/bohr: 0.08154
2S+1: 3
HOMO level (spin up / spin down) in eV: -1.33 / -4.92
E in Eh: -802.6486
Orbital gap (spin up / spin down) in eV: 4.2 / 6.6
Charge: -1

Last column: Löwdin spin population.
Element x y z (Å)
C1 -0.51314 0.24203 -0.49002  0.0515
C2 0.46420 0.12094 0.57569  0.4496
N1 -0.06936 -0.95798 -0.00047  0.2886
O1 -0.06230 -2.20393 -0.16606  0.4211
I1 -2.71216 0.86840 -0.01193  0.1660
I2 2.78533 0.85292 -0.03501  0.5666
H1 -0.34819 0.64839 -1.47158  0.0090
H2 0.45562 0.42922 1.59939  0.0478



This record from OMol25 describes a molecular structure, C2H2I3NO. The level of theory is ωB97M-V with the def2-TZVPD basis set.

Strongest force on any atom in hartree/bohr: 0.05190
HOMO level (spin up / spin down) in eV: -8.53 / -8.55
E in Eh: -1100.3914
Orbital gap (spin up / spin down) in eV: 7.3 / 6.6

Last column: Mulliken charge in e.
Element x y z (Å)
C1 -0.53116 -1.24429 -1.74910  0.5446
C2 0.21557 1.44122 0.94827  -0.6975
N1 0.35585 -0.56826 -1.27528  -0.3357
O1 -1.62419 -1.57959 -2.08136  -0.4279
I1 -0.66852 -2.14765 2.20060  -0.2499
I2 2.12109 2.21993 0.76546  0.1334
I3 -0.92541 0.83311 2.44597  0.3463
H1 -0.32869 1.61407 0.04730  0.4466
H2 1.38547 -0.56854 -1.30185  0.2400



This record from OMol25 describes a molecular structure, C2H2I3O3S. The level of theory is ωB97M-V with the def2-TZVPD basis set.

Strongest force on any atom in hartree/bohr: 0.06309
HOMO level in eV: -6.00
E in Eh: -1594.4466
Orbital gap in eV: 8.3
Charge: -1

Last column: Mulliken charge in e.
Element x y z (Å)
C1 1.07125 1.13887 -0.32575  -0.4113
C2 0.97790 -0.05797 0.18466  -0.2540
O1 0.33056 -1.62573 -1.65135  -0.5731
O2 -0.61787 -2.19165 0.49299  -0.6358
O3 -1.56956 -0.32079 -0.64042  -0.6913
S1 -0.32472 -1.16126 -0.47263  1.0524
I1 2.77999 2.42431 -0.06997  -0.0860
**Result:**
O1 -2.35572 2.40074 0.27099  -0.6908
O1 0.81710 0.35028 -1.15711  -0.5161
O1 0.15868 1.77806 0.00231  -0.6482
O1 -0.06230 -2.20393 -0.16606  0.4211
O1 -1.62419 -1.57959 -2.08136  -0.4279
O1 0.33056 -1.62573 -1.65135  -0.5731